*My exceptional Likings*

by baggie on 5:21 PM

Voila!! These pics that you've just seen above were ripped(copied) off from calender covers decades ago (the older playboy calender version). These postcards (there are a few more of all sizes, which I'm lazy to scan and yeah they minimized the images to postcards) which I've obtained from Jonker Street in Malacca, are my current obsessions. I'd suddenly taken on the likings for old old pictures. Sounds kinda creepy, huh? I think they are very 'vintage' looking and would be great decors in frames. I actually have a few of these framed on my office wall. It suites the theme of my office room.

Oh by the way, my office room's theme were made to suit my company's name "Chopstickloft". A little bit of Chinese were implemented in the name because I thought it would sound 'special' and 'mystic' and also 'vintage'. And yes, people do often mistaken the name for a chinese restaurant, sigh but then again, my clients remember the name perfectly well.

My office room is in yellow corn, with the 'vintage' pics framed in dirty red on the wall. I have a humongous oak-made desk where my pc, fax-machine, paper tray, (surveying what's on my table) telephone, desktop speakers, a jar of candies, pen holders, a picture of me and Calvin, scanner and my name card holder, are located on. An Ikea shelf is holding my big fat files, reference books, some other 'vintage' collections of mine, little plush piggies and a multi-purpose box (stored with rubbish). Next to it is another side desk where it holds my clumsy Samsung laser printer.

Located at the north east of my office room is my feng-shui water feature where I've a few little 'peacock' fishes living in it. And there were supposed to be a few water plants ( i forgot the name) in it, but because there were no sunlight coming through my office room, they died. Kinda sad... no roots for the fishies to play hide-and-seek.

My office room makes me feel very comfortable and cheerful (despite the fact that i do swear and get frustrated at times in this room, but those are the clients to blame for), yellow works fine for me. Oh I also have a large world map hung on the wall behind me, it was suppose to mean "I own the world", Calvin said that to me when he bought it. Hahahaha... maybe that will come true when my International Trading business kickstarts.

Oh i forgot to mention, I have a clock on the wall too... *ROFL*!!!
20 Response to '*My exceptional Likings*'
  1. Mechanism8
    http://dirty-dancing-fairy.blogspot.com/2006/06/my-exceptional-likings.html?showComment=1151036100000#c115103611568859732'> 12:15 PM

    wow..these are "old playboys"...of what decade..lol...besides the first one (which is mildly arousing at best)lol..there's nothing really provocative about it...in fact i think the last one may have made me impotent...lol...nice blog, great read..tq


  2. baggie
    http://dirty-dancing-fairy.blogspot.com/2006/06/my-exceptional-likings.html?showComment=1151044740000#c115104477314801030'> 2:39 PM

    Hahahaha hilarious guy you are LOL... thanks for stopping by. My blog is just for leisure thingy... nothing to provoke anyone here... :P


  3. Mechanism8
    http://dirty-dancing-fairy.blogspot.com/2006/06/my-exceptional-likings.html?showComment=1151169780000#c115116980786966625'> 1:23 AM

    hmm...i can imagine your room to be something of a fortune telling gypsie's room...lol... although that corn yellow seems like a pretty nice color...funny, i remember the first time i painted my bedroom, i think i was 14 then, color was smoked red....i can still recall those first words of compliment to ever spew out of my fathers mouth when he walked into my room, he went "what the hell..", ah yes and my mother's.. "..are you crazy.." and not forget beloved sister's "...he's doing drugs.." comment.lol


  4. baggie
    http://dirty-dancing-fairy.blogspot.com/2006/06/my-exceptional-likings.html?showComment=1151175720000#c115117573246991837'> 3:02 AM

    LOL ... RED??!! so the panas??actually previously the yellow room was in water bleu color... u can imagine being in that room... whoooaaa floating in the sea!!


  5. Mechanism8
    http://dirty-dancing-fairy.blogspot.com/2006/06/my-exceptional-likings.html?showComment=1151203860000#c115120387904612218'> 10:51 AM

    aik...wait, so the previous room was blue and now you've painted yellow over it... hmm arts 101, blue+yellow= green... ???lol

[1]
Diffraction record for Cr4Au3O12. The PXRD pattern is computed, not measured: it uses the GGA+U geometry in Alexandria and Cu Kα (λ = 1.5418 Å).

Main lines, by intensity (2θ = 10–90°):
| index | d (Å) | I/Imax |
| --- | --- | --- |
| 2 2 0 | 2.677 | 1000 |
| 4 2 2 | 1.546 | 458 |
| 1 1 0 | 5.355 | 405 |
| 2 0 0 | 3.786 | 245 |
| 4 0 0 | 1.893 | 242 |
| 2 1 1 | 3.092 | 233 |
| 6 0 2 | 1.197 | 175 |
| 2 2 2 | 2.186 | 155 |
| 4 4 0 | 1.339 | 132 |
| 4 2 0 | 1.693 | 117 |

abc: 7.573 7.573 7.573
angles: 90.00 90.00 90.00
Space group Im-3 (No. 204)
Inequivalent atoms, fractional coordinates:
Cr 0.250 0.250 0.250 [8 per cell]
Au 0.000 0.000 0.500 [6 per cell]
O 0.000 0.184 0.309 [24 per cell]

***

[2]
Diffraction record for V2Zn3O8. The PXRD pattern is computed, not measured: it uses the GGA+U geometry in Alexandria and Cu Kα (λ = 1.5418 Å).

Main lines, by intensity (2θ = 10–90°):
| index | d (Å) | I/Imax |
| --- | --- | --- |
| 2 2 1 | 2.599 | 1000 |
| 2 4 4 | 1.493 | 573 |
| 1 3 1 | 3.078 | 536 |
| 0 2 3 | 2.522 | 454 |
| 2 4 0 | 2.129 | 321 |
| 1 1 3 | 2.486 | 287 |
| 1 1 2 | 3.325 | 264 |
| 0 2 1 | 4.811 | 242 |
| 1 5 1 | 2.125 | 209 |
| 0 2 2 | 3.411 | 203 |

abc: 6.178 11.756 8.376
angles: 90.00 90.00 90.00
Space group Cmce (No. 64)
Inequivalent atoms, fractional coordinates:
V 0.000 0.122 0.120 [8 per cell]
Zn 0.000 0.000 0.500 [4 per cell]
Zn 0.250 0.137 0.750 [8 per cell]
O 0.000 0.001 0.255 [8 per cell]
O 0.000 0.249 0.726 [8 per cell]
O 0.228 0.118 0.000 [16 per cell]

* * * * *

This entry pairs a crystal structure of AcInF2 with its computed XRD peak list. Radiation: Cu Kα, 1.54184 Å. Structure: a structure optimized by DFT (PBE).
Neutral-atom scattering factors, no anomalous dispersion.

Largest 12 diffraction maxima, by intensity, 2θ from 10° to 80°:
d [Å], I/Imax
3.574, 100
2.417, 52
2.654, 49
1.661, 32
2.002, 21
4.005, 20
1.542, 18
1.787, 16
1.437, 15
2.287, 14
1.587, 10
1.396, 9

Atomic structure:
Cell lengths 5.3587, 5.3587, 5.3587 Å; angles 53.63, 53.63, 53.63 degrees
Fractional coordinates of all 4 atoms:
Ac1 0.0000 0.0000 0.0000
In1 0.5000 0.5000 0.5000
F1 0.1742 0.1742 0.1742
F2 0.8258 0.8258 0.8258

* * * * *

Entry 1:
MgIn2: theoretical X-ray powder pattern (Cu Ka), based on a PBE-relaxed structure.
Kinematic intensities with the Lorentz-polarization factor, no thermal factor.

Main lines, in order of rising 2θ (10° ≤ 2θ ≤ 80°):
16.28°, I 375; 30.91°, I 334; 32.83°, I 790; 34.21°, I 1000; 35.65°, I 373; 35.99°, I 897

Structural model:
```
6
Lattice="5.8452 -1.7180 0.0000 5.8452 1.7180 0.0000 -2.9484 0.0000 7.5550" Properties=species:S:1:pos:R:3 pbc="T T T"
Mg -0.5718 0.0000 2.2723
Mg 9.3138 0.0000 5.2827
In 2.5730 0.0000 2.7727
In 1.3499 0.0000 7.3065
In 7.3921 0.0000 0.2485
In 6.1690 0.0000 4.7824
```


Entry 2:
MgIn2: theoretical X-ray powder pattern (Cu Ka), based on a PBE-relaxed structure.
Kinematic intensities with the Lorentz-polarization factor, no thermal factor.


  6. John
    http://dirty-dancing-fairy.blogspot.com/2006/06/my-exceptional-likings.html?showComment=1151303880000#c115130393545719510'> 2:38 PM

    Talk about the evolution of porn... LOL


  7. baggie
    http://dirty-dancing-fairy.blogspot.com/2006/06/my-exceptional-likings.html?showComment=1151305380000#c115130543998663775'> 3:03 PM

    LOL... well luckily i've painted two layers of yellow... or else it would have been greeeeeeeen...... Manny

    LOL john... see how the wonders grow through the years of porn?? *ROFL*


  8. Mechanism8
    http://dirty-dancing-fairy.blogspot.com/2006/06/my-exceptional-likings.html?showComment=1151363760000#c115136378566692956'> 7:16 AM

    I'm curious though, If I may ask...are you an artist of some sort..? I've noticed those 'cartoon-esque' real life drawings of people in the previous posts, they're quite fantastic.


  9. baggie
    http://dirty-dancing-fairy.blogspot.com/2006/06/my-exceptional-likings.html?showComment=1151390640000#c115139066834808691'> 2:44 PM

Data records from another source follow:
=====
# 1
Calculated XRD peak list of CePm2Ho4 for CuKα, from a crystal structure in Alexandria, relaxed with PBE.

The 8 most intense peaks (2θ from 15° to 90°), low angle first:
2θ 28.79, I 33
2θ 31.10, I 63
2θ 32.42, I 100
2θ 33.15, I 98
2θ 50.95, I 42
2θ 55.69, I 20
2θ 57.11, I 22
2θ 60.90, I 50

Structure:
Unit cell a=6.2133 b=3.5828 c=20.2411 alpha=90.00 beta=95.89 gamma=90.00
Positions (direct):
Ce 0.0000 0.0000 0.0000
Ce 0.5000 0.5000 0.0000
Pm 0.3191 0.5000 0.4262
Pm 0.4085 0.5000 0.7142
Pm 0.8191 0.0000 0.4262
Pm 0.9085 0.0000 0.7142
Ho 0.0985 0.0000 0.2809
Ho 0.1257 0.5000 0.8579
Ho 0.1959 0.0000 0.5709
Ho 0.2201 0.5000 0.1421
Ho 0.5985 0.5000 0.2809
Ho 0.6257 0.0000 0.8579
Ho 0.6959 0.5000 0.5709
Ho 0.7201 0.0000 0.1421

---

# 2
Calculated XRD peak list of CePm8Ho5 for CuKα, from a crystal structure in Alexandria, relaxed with PBE.

The 8 most intense peaks (2θ from 15° to 90°), low angle first:
2θ 27.42, I 56
2θ 29.39, I 65
2θ 29.62, I 75
2θ 31.65, I 24
2θ 33.35, I 100
2θ 34.40, I 37
2θ 35.01, I 43
2θ 54.98, I 22

Structure:
Unit cell a=8.5086 b=8.5086 c=8.5086 alpha=111.84 beta=111.84 gamma=104.84
Positions (direct):
Ce 0.0000 0.0000 0.0000
Pm 0.0848 0.6875 0.7691
Pm 0.2823 0.5282 0.1045
Pm 0.3125 0.0816 0.3974
Pm 0.4237 0.1777 0.8955
Pm 0.4718 0.5763 0.7540
Pm 0.6843 0.9152 0.6026
Pm 0.8223 0.7177 0.2460
Pm 0.9184 0.3157 0.2309
Ho 0.0284 0.2131 0.5958
Ho 0.2500 0.7500 0.5000
Ho 0.5675 0.9716 0.1847
Ho 0.6172 0.4325 0.4042
Ho 0.7869 0.3828 0.8153

---

# 3
Calculated XRD peak list of CePm2PrHo5 for CuKα, from a crystal structure in Alexandria, relaxed with PBE.

The 8 most intense peaks (2θ from 15° to 90°), low angle first:
2θ 28.75, I 61
2θ 29.03, I 49
2θ 30.95, I 100
2θ 32.55, I 18
2θ 37.74, I 17
2θ 43.26, I 22
2θ 46.51, I 14
2θ 52.68, I 18

Structure:
Unit cell a=9.8784 b=9.8784 c=9.8784 alpha=127.76 beta=127.76 gamma=77.02
Positions (direct):
Ce 0.2500 0.7500 0.5000
Ce 0.7500 0.2500 0.5000
Pm 0.1191 0.6191 0.7381
Pm 0.3809 0.1191 0.5000
Pm 0.6191 0.8809 0.5000
Pm 0.8809 0.3809 0.2619
Pr 0.2500 0.2500 0.0000
Pr 0.7500 0.7500 0.0000
Ho 0.0000 0.0000 0.0000
Ho 0.0657 0.1589 0.5000
Ho 0.1589 0.6589 0.0932
Ho 0.3411 0.4343 0.5000
Ho 0.4343 0.9343 0.0932
Ho 0.5000 0.5000 0.0000
Ho 0.5657 0.0657 0.9068
Ho 0.6589 0.5657 0.5000
Ho 0.8411 0.3411 0.9068
Ho 0.9343 0.8411 0.5000

---

# 4
Calculated XRD peak list of CePm2HoPt2 for CuKα, from a crystal structure in Alexandria, relaxed with PBE.

The 8 most intense peaks (2θ from 15° to 90°), low angle first:
2θ 22.36, I 23
2θ 29.14, I 42
2θ 29.29, I 42
2θ 31.20, I 50
2θ 36.49, I 46
2θ 36.61, I 46
2θ 37.63, I 100
2θ 42.31, I 47

Structure:
Unit cell a=8.6124 b=8.6124 c=8.6124 alpha=133.63 beta=67.44 gamma=133.93
Positions (direct):
Ce 0.2500 0.2500 0.0000
Ce 0.7500 0.7500 0.0000
Pm 0.1895 0.2391 0.4287
Pm 0.3105 0.7391 0.0496
Pm 0.6895 0.2609 0.9504
Pm 0.8105 0.7609 0.5713
Ho 0.2500 0.7500 0.5000
Ho 0.7500 0.2500 0.5000
Pt 0.1145 0.7515 0.8660
Pt 0.3855 0.2515 0.6370
Pt 0.6145 0.7485 0.3630
=====

    Oh, thank you for appreciating my work. I was graduated from a design school. I enjoy illustrating the many faces of celebrities. Why? wan me to illustrate your picture? Can no problemo.... ROFL ... I chargeeeee.. LOL


  10. Mechanism8
    http://dirty-dancing-fairy.blogspot.com/2006/06/my-exceptional-likings.html?showComment=1151418960000#c115141900250570241'> 10:36 PM

    Design School....fascinating!... So that would mean your a designer of...?! haha, thank you fer the offer but no thanks...lol... most people say i resemble very very closely to this illustrated picture here...lol


  11. baggie
    http://dirty-dancing-fairy.blogspot.com/2006/06/my-exceptional-likings.html?showComment=1151474340000#c115147435799936324'> 1:59 PM

    LOL Manny, really..... you must be skinny as a stick... and a smartly dressed too LOL


  12. Mechanism8
    http://dirty-dancing-fairy.blogspot.com/2006/06/my-exceptional-likings.html?showComment=1151483640000#c115148369550305020'> 4:34 PM

    I got nicknamed Scraps when i was at primary school. i had no ass, matchstick legs and i was flat as an ironing board. I got so upset when i got teased i used to wear 3 pairs of pants so i looked fatter. I dont give a shit now though. Im healthy enough!!lol

    Thankfully, i have filled out a bit in all those places since then too! :-)


  13. baggie
    http://dirty-dancing-fairy.blogspot.com/2006/06/my-exceptional-likings.html?showComment=1151559720000#c115155974162546795'> 1:42 PM

    *ROFL* Manny ure a hilarious guy!! 3 pairs of pants so that u'll have an ass........ LOL LOL


  14. Mechanism8
    http://dirty-dancing-fairy.blogspot.com/2006/06/my-exceptional-likings.html?showComment=1151640480000#c115164052128582955'> 12:08 PM

    Hey, back then with the complex and often mind-boggling course of primary school politics and all having an ass was the difference between surviving an ass-kicking and actually being considered for stuff. Seriously when I was the 'wimpy' me back in physical ed. class in Std 3 I was the kid they choose after the cripple kid ...for FOOTBALL!!! But after version 2.0 of me came out with all the right 'curves'..oh yeah, all of a sudden I became goalie material... :D


  15. baggie
    http://dirty-dancing-fairy.blogspot.com/2006/06/my-exceptional-likings.html?showComment=1151648880000#c115164892751768067'> 2:28 PM



  16. Mechanism8
    http://dirty-dancing-fairy.blogspot.com/2006/06/my-exceptional-likings.html?showComment=1151654820000#c115165486539932053'> 4:07 PM

    haha...haiz...school politics is a lot more trecherous then any other politics id' say...lol..


  17. baggie
    http://dirty-dancing-fairy.blogspot.com/2006/06/my-exceptional-likings.html?showComment=1151662920000#c115166294738645416'> 6:22 PM

    Oh yeah... very true... School politics can change YOUR life... but other politics, you can choose not to let them have any effect on you. Hehehehe...


  18. baggie
    http://dirty-dancing-fairy.blogspot.com/2006/06/my-exceptional-likings.html?showComment=1151663220000#c115166324703724042'> 6:27 PM

    whatthehelleverythingalsocannot.blogspot = that's millionaire John's addy... can't access to it... LOL he must be having a hard time getting a blog from blogger... *ROFL*

    Millionaire John, u need help to get a blogger url?? Wait a minute.. are you the same John at my chat box?? Haiya why you wanna be so mysterious eh....


  19. John
    http://dirty-dancing-fairy.blogspot.com/2006/06/my-exceptional-likings.html?showComment=1151663760000#c115166379428765551'> 6:36 PM

    Ahhh..... goodie good! More options..... hahaha! winks


  20. baggie
    http://dirty-dancing-fairy.blogspot.com/2006/06/my-exceptional-likings.html?showComment=1151668380000#c115166843195828456'> 7:53 PM
